To do >
Please duplicate the notes further down unchanged.
Data >
+++
# 1
Entry from Alexandria: a relaxed structure of Cs2NaGe (GGA-PBE).

POSCAR file:
```
Cs2NaGe
1.0
-2.7159 2.7159 12.7805
2.7159 -2.7159 12.7805
2.7159 2.7159 -12.7805
Cs Na Ge
4 2 2
Cartesian
4.0739 1.3315 -3.1951
1.3315 1.3580 3.1951
-1.3580 1.3844 9.5854
1.3844 1.3580 15.9756
2.7159 0.0000 6.3902
0.0000 0.0000 12.7805
0.0000 0.0000 0.0000
0.0000 2.7159 6.3902
```

Results
**Excess energy over the best structure of this formula in the dataset**: 368.0 meV per atom



# 2
Entry from Alexandria: a relaxed structure of Cs2NaGe (GGA-PBE).

POSCAR file:
```
Cs2NaGe
1.0
0.0000 4.6055 4.6055
4.6055 0.0000 4.6055
4.6055 4.6055 0.0000
Cs Na Ge
2 1 1
Cartesian
2.3028 2.3028 2.3028
6.9083 6.9083 6.9083
0.0000 0.0000 0.0000
4.6055 4.6055 4.6055
```

Results
**Excess energy over the best structure of this formula in the dataset**: 233.9 meV per atom



# 3
Entry from Alexandria: a relaxed structure of Cs2Na2Ge (GGA-PBE).

POSCAR file:
```
Cs2Na2Ge
1.0
8.2467 0.0000 0.0000
0.0000 8.2467 0.0000
0.0000 0.0000 6.6643
Cs Na Ge
4 4 2
Cartesian
1.5508 2.5725 0.0000
2.5725 6.6959 0.0000
5.6742 1.5508 0.0000
6.6959 5.6742 0.0000
1.4708 5.5942 3.3321
2.6525 1.4708 3.3321
5.5942 6.7759 3.3321
6.7759 2.6525 3.3321
0.0000 0.0000 3.3321
4.1233 4.1233 3.3321
```

Results
**Energy**: -1.68 eV/atom



# 4
Entry from Alexandria: a relaxed structure of Cs5Na2Ge4 (GGA-PBE).

POSCAR file:
```
Cs5Na2Ge4
1.0
5.6172 -4.9005 0.0000
5.6172 4.9005 0.0000
-4.4643 0.0000 12.1525
Cs Na Ge
5 2 4
Cartesian
0.0000 0.0000 0.0000
1.5580 2.2758 8.1923
5.2121 2.2758 3.9602
1.5580 -2.2758 8.1923
5.2121 -2.2758 3.9602
3.9901 0.0000 0.5623
2.7800 0.0000 11.5902
2.1662 0.0000 2.9742
2.3318 0.0000 5.3221
4.4383 0.0000 6.8304
4.6039 0.0000 9.1783
```

Results
**Energy**: -2.30 eV/atom



# 5
Entry from Alexandria: a relaxed structure of Cs2NaGe (GGA-PBE).

POSCAR file:
```
Cs2NaGe
1.0
12.4896 0.0000 0.0000
0.0000 7.4427 0.0000
-3.8484 0.0000 9.1757
Cs Na Ge
8 4 4
Cartesian
2.0025 1.8535 0.7914
0.0783 1.8679 5.3792
1.5518 5.5419 3.2774
-0.3724 5.6222 7.8653
9.0136 1.8206 1.3104
7.0895 1.9008 5.8982
8.5629 5.5749 3.7965
6.6387 5.5892 8.3843
5.4564 3.7718 1.8206
3.5322 7.3923 6.4085
5.1090 0.0505 2.7672
3.1848 3.6709 7.3551
1.7753 1.0461 8.8646
3.6995 2.6753 4.2767
4.9417 4.7674 4.8990
6.8659 6.3967 0.3111
```

Results
**Excess energy over the best structure of this formula in the dataset**: 0.0 meV per atom



# 6
Entry from Alexandria: a relaxed structure of CsNaNbGe2 (GGA-PBE).

POSCAR file:
```
CsNaNbGe2
1.0
5.3242 0.0000 0.0000
0.0000 5.3242 0.0000
0.0000 0.0000 5.4913
Cs Na Nb Ge
1 1 1 2
Cartesian
0.0000 0.0000 0.0000
2.6621 2.6621 2.7456
2.6621 2.6621 0.0000
0.0000 2.6621 2.7456
2.6621 0.0000 2.7456
```

Results
**Energy**: -2.99 eV/atom



# 7
Entry from Alexandria: a relaxed structure of Cs2NaGeO4 (GGA-PBE).

POSCAR file:
```
Cs2NaGeO4
1.0
0.0000 6.2641 11.1429
2.7809 0.0000 11.1429
2.7809 6.2641 0.0000
Cs Na Ge O
4 2 2 8
Cartesian
2.0857 4.6981 1.1279
3.4762 7.8302 6.6993
2.0857 4.6981 15.5864
3.4762 7.8302 21.1578
0.6952 1.5660 2.7857
4.8666 10.9622 19.5000
2.0857 4.6981 8.3572
3.4762 7.8302 13.9286
3.1445 3.6250 7.3933
3.1445 5.7712 9.3210
4.5350 6.7571 14.8924
4.5350 8.9033 12.9648
1.0269 3.6250 9.3210
1.0269 5.7712 7.3933
2.4173 6.7571 12.9648
2.4173 8.9033 14.8924
```

Results
**Energy relative to the elements, uncorrected**: -1384 meV/atom



# 8
Entry from Alexandria: a relaxed structure of CsNaGeO3 (GGA-PBE).

POSCAR file:
```
CsNaGeO3
1.0
3.0196 -5.7613 0.0000
3.0196 5.7613 0.0000
0.0000 0.0000 5.5255
Cs Na Ge O
2 2 2 6
Cartesian
3.0196 3.0810 4.1441
3.0196 -3.0810 1.3814
3.0196 4.8373 1.3814
3.0196 -4.8373 4.1441
3.0196 0.5667 1.3814
3.0196 -0.5667 4.1441
1.7736 0.0000 0.0000
1.7736 0.0000 2.7627
3.0196 2.3206 1.3814
3.0196 -2.3206 4.1441
4.2655 0.0000 0.0000
4.2655 0.0000 2.7627
```

Results
**Energy relative to the elements, uncorrected**: -1676 meV/atom

~~~~~

Record 1
! PBE-GGA HPdCl2, optimized geometry; values from VASP
! **Symmetry**: No. 166
+++
Done >
# 1
Entry from Alexandria: a relaxed structure of Cs2NaGe (GGA-PBE).

POSCAR file:
```
Cs2NaGe
1.0
-2.7159 2.7159 12.7805
2.7159 -2.7159 12.7805
2.7159 2.7159 -12.7805
Cs Na Ge
4 2 2
Cartesian
4.0739 1.3315 -3.1951
1.3315 1.3580 3.1951
-1.3580 1.3844 9.5854
1.3844 1.3580 15.9756
2.7159 0.0000 6.3902
0.0000 0.0000 12.7805
0.0000 0.0000 0.0000
0.0000 2.7159 6.3902
```

Results
**Excess energy over the best structure of this formula in the dataset**: 368.0 meV per atom



# 2
Entry from Alexandria: a relaxed structure of Cs2NaGe (GGA-PBE).

POSCAR file:
```
Cs2NaGe
1.0
0.0000 4.6055 4.6055
4.6055 0.0000 4.6055
4.6055 4.6055 0.0000
Cs Na Ge
2 1 1
Cartesian
2.3028 2.3028 2.3028
6.9083 6.9083 6.9083
0.0000 0.0000 0.0000
4.6055 4.6055 4.6055
```

Results
**Excess energy over the best structure of this formula in the dataset**: 233.9 meV per atom



# 3
Entry from Alexandria: a relaxed structure of Cs2Na2Ge (GGA-PBE).

POSCAR file:
```
Cs2Na2Ge
1.0
8.2467 0.0000 0.0000
0.0000 8.2467 0.0000
0.0000 0.0000 6.6643
Cs Na Ge
4 4 2
Cartesian
1.5508 2.5725 0.0000
2.5725 6.6959 0.0000
5.6742 1.5508 0.0000
6.6959 5.6742 0.0000
1.4708 5.5942 3.3321
2.6525 1.4708 3.3321
5.5942 6.7759 3.3321
6.7759 2.6525 3.3321
0.0000 0.0000 3.3321
4.1233 4.1233 3.3321
```

Results
**Energy**: -1.68 eV/atom



# 4
Entry from Alexandria: a relaxed structure of Cs5Na2Ge4 (GGA-PBE).

POSCAR file:
```
Cs5Na2Ge4
1.0
5.6172 -4.9005 0.0000
5.6172 4.9005 0.0000
-4.4643 0.0000 12.1525
Cs Na Ge
5 2 4
Cartesian
0.0000 0.0000 0.0000
1.5580 2.2758 8.1923
5.2121 2.2758 3.9602
1.5580 -2.2758 8.1923
5.2121 -2.2758 3.9602
3.9901 0.0000 0.5623
2.7800 0.0000 11.5902
2.1662 0.0000 2.9742
2.3318 0.0000 5.3221
4.4383 0.0000 6.8304
4.6039 0.0000 9.1783
```

Results
**Energy**: -2.30 eV/atom



# 5
Entry from Alexandria: a relaxed structure of Cs2NaGe (GGA-PBE).

POSCAR file:
```
Cs2NaGe
1.0
12.4896 0.0000 0.0000
0.0000 7.4427 0.0000
-3.8484 0.0000 9.1757
Cs Na Ge
8 4 4
Cartesian
2.0025 1.8535 0.7914
0.0783 1.8679 5.3792
1.5518 5.5419 3.2774
-0.3724 5.6222 7.8653
9.0136 1.8206 1.3104
7.0895 1.9008 5.8982
8.5629 5.5749 3.7965
6.6387 5.5892 8.3843
5.4564 3.7718 1.8206
3.5322 7.3923 6.4085
5.1090 0.0505 2.7672
3.1848 3.6709 7.3551
1.7753 1.0461 8.8646
3.6995 2.6753 4.2767
4.9417 4.7674 4.8990
6.8659 6.3967 0.3111
```

Results
**Excess energy over the best structure of this formula in the dataset**: 0.0 meV per atom



# 6
Entry from Alexandria: a relaxed structure of CsNaNbGe2 (GGA-PBE).

POSCAR file:
```
CsNaNbGe2
1.0
5.3242 0.0000 0.0000
0.0000 5.3242 0.0000
0.0000 0.0000 5.4913
Cs Na Nb Ge
1 1 1 2
Cartesian
0.0000 0.0000 0.0000
2.6621 2.6621 2.7456
2.6621 2.6621 0.0000
0.0000 2.6621 2.7456
2.6621 0.0000 2.7456
```

Results
**Energy**: -2.99 eV/atom



# 7
Entry from Alexandria: a relaxed structure of Cs2NaGeO4 (GGA-PBE).

POSCAR file:
```
Cs2NaGeO4
1.0
0.0000 6.2641 11.1429
2.7809 0.0000 11.1429
2.7809 6.2641 0.0000
Cs Na Ge O
4 2 2 8
Cartesian
2.0857 4.6981 1.1279
3.4762 7.8302 6.6993
2.0857 4.6981 15.5864
3.4762 7.8302 21.1578
0.6952 1.5660 2.7857
4.8666 10.9622 19.5000
2.0857 4.6981 8.3572
3.4762 7.8302 13.9286
3.1445 3.6250 7.3933
3.1445 5.7712 9.3210
4.5350 6.7571 14.8924
4.5350 8.9033 12.9648
1.0269 3.6250 9.3210
1.0269 5.7712 7.3933
2.4173 6.7571 12.9648
2.4173 8.9033 14.8924
```

Results
**Energy relative to the elements, uncorrected**: -1384 meV/atom



# 8
Entry from Alexandria: a relaxed structure of CsNaGeO3 (GGA-PBE).

POSCAR file:
```
CsNaGeO3
1.0
3.0196 -5.7613 0.0000
3.0196 5.7613 0.0000
0.0000 0.0000 5.5255
Cs Na Ge O
2 2 2 6
Cartesian
3.0196 3.0810 4.1441
3.0196 -3.0810 1.3814
3.0196 4.8373 1.3814
3.0196 -4.8373 4.1441
3.0196 0.5667 1.3814
3.0196 -0.5667 4.1441
1.7736 0.0000 0.0000
1.7736 0.0000 2.7627
3.0196 2.3206 1.3814
3.0196 -2.3206 4.1441
4.2655 0.0000 0.0000
4.2655 0.0000 2.7627
```

Results
**Energy relative to the elements, uncorrected**: -1676 meV/atom

~~~~~

Record 1
! PBE-GGA HPdCl2, optimized geometry; values from VASP
! **Symmetry**: No. 166